13 JANUARY 1855, Page 12


THERE are two modes of keeping a people within the path of conscientious behaviour : one is to restrain them by penal and compulsory laws ; the other, to develop their faculties so as to render unconscientious behaviour repugnant to their own wishes. The Maine Liquor Law presents an example of the compulsory plan : it is upheld by many philanthropists, and among others by the Recorder for Birmingham, Mr. N. D. Hill ; who admits, however, that it is useless to enact a law for the compulsory pro- hibition of intoxicating drinks unless the people themselves desire to be so controlled. The existence of such a law, therefore, proves the people to be in that half-developed condition which makes their conduct fall short of their own wishes. They send them- selves to school late in life, instead of being sent to school when they are young, and trained to a moral condition which would make them independent of the Maine Liquor Law. The man who has no desire to be intoxicated is in a far safer as well as in a more dignified condition than the man who petitions for a prohi- bition upon his own trespasses. The idea of education, however, has hitherto been so extremely imperfect that the mistake has actually existed, of regarding in- struction in the ordinary elements of learning as "education." In recent days a higher philosophy has obtained currency, and it is reputed necessary to train the physical and moral faculties as well as the intellectual. No one has better illustrated this course of training than Mr. M. D. Hill, in his letter to Lord Brougham on the plan of cultivating young vagabonds into decent members of society. As applied to any numerous class, however, this kind of training must be planned so as to override the distinctions which divide the United Kingdom into more sections than there are counties—the distinctions of sect. We shall never have any se- curity for the commonest development of our youthful generation, until an instruction is offered to thein totally independent of secta- rian or religions distinctions. Modified plans, which go upon the principle of compromising these questions, and giving but a com- paratively small dose of sectarian instruction, do not in truth go even "half way," but entirely fail in supplying an universal secu- rity that every child born to the community shall have access to education. There is still another difficulty, in the indifference of parents; and, as we observed lately, this difficulty appears insu- perable, so long as the disposal of the question is left to the parent. It is almost the only case in which a very important service is always paid for by one person on behalf of another ; and hence in great part the indifference which exists. Now, so long as anything like sectarian distinction is kept up, a pretext so plausible is given for parental objection to the schooling of the young, that no simple opening of schools, or even compulsory attendance at school, could be enforced. Yet again, if we had all these facilities for the ad- mission of every British child to a well-conducted school as a mat- ter of course, there would still be one more difficulty to surmount: the extreme poverty of parents prevents their providing children with clothing, and even with the diet necessary to sustain the fa- culties under the process of tuition. Education is carried on as much at the breakfast and the dinner table as it is in the school- room and the church ; and no community can be secure of a well- trained rising generation which has not a perfectly sufficient gua- rantee that every child can have access to food for the body as well as for the mind. We are not speaking on this subject with- out practical illustration. Mr. H. D. Hill will bear us out in the statement, that the conduct of the school at Redhill or at Mettray would be hopeless unless the conductors had the opportunity of training the pupils by diet as well as by instruction. A man may , be fed into healthy feelings, as much as an ordinary working bee can be fed into a queen-mother. An experiment of this complete education has been made in the Industrial Schools of Edinburgh, in which the children are fed and taught without the slightest sectarian distinction. Such religious instruction as is given in the school is adopted from the religion of the parents of the children. Yes ! even in a Scotch school, sup- ported by members of the Scotch bench and bar and of the Edin- burgh municipality, the Douay version of the Bible is used for the children of Roman Catholic parents. The result is, as Lord

Data records from another source follow.
........
[1]
Entry from Materials Project: Bi2MoO6 after structural relaxation (GGA+U).

Calculated values
* energy relative to the elements: -1.858 eV/atom
* V: 131 Å³/f.u.

Unit cell a=5.618 b=5.626 c=16.625 alpha=90.00 beta=90.00 gamma=90.00
Element x y z (fractional)
Bi  0.474  0.065  0.424
Bi  0.026  0.043  0.924
Bi  0.526  0.565  0.576
Bi  0.474  0.543  0.924
Bi  0.974  0.543  0.076
Bi  0.526  0.043  0.076
Bi  0.026  0.565  0.424
Bi  0.974  0.065  0.576
Mo  0.492  0.022  0.750
Mo  0.992  0.022  0.250
Mo  0.508  0.522  0.250
Mo  0.008  0.522  0.750
O  0.899  0.442  0.647
O  0.774  0.681  0.279
O  0.689  0.259  0.778
O  0.409  0.918  0.854
O  0.260  0.786  0.502
O  0.762  0.262  0.998
O  0.760  0.786  0.498
O  0.240  0.286  0.502
O  0.189  0.259  0.222
O  0.726  0.181  0.279
O  0.226  0.181  0.721
O  0.091  0.418  0.854
O  0.101  0.942  0.353
O  0.591  0.418  0.146
O  0.262  0.262  0.002
O  0.909  0.918  0.146
O  0.811  0.759  0.778
O  0.274  0.681  0.721
O  0.311  0.759  0.222
O  0.738  0.762  0.998
O  0.740  0.286  0.498
O  0.601  0.942  0.647
O  0.238  0.762  0.002
O  0.399  0.442  0.353

[2]
Entry from Materials Project: Fe5O7F3 after structural relaxation (GGA+U).

Calculated values
* energy relative to the elements: -1.722 eV/atom
* V: 166 Å³/f.u.

Unit cell a=4.670 b=4.673 c=15.254 alpha=90.05 beta=90.04 gamma=90.11
Element x y z (fractional)
Fe  0.016  0.960  0.994
Fe  0.977  0.016  0.800
Fe  0.968  0.011  0.606
Fe  0.986  0.979  0.400
Fe  0.983  0.988  0.199
Fe  0.496  0.491  0.901
Fe  0.528  0.511  0.494
Fe  0.508  0.480  0.700
Fe  0.517  0.515  0.300
Fe  0.514  0.527  0.106
O  0.799  0.797  0.897
O  0.791  0.808  0.705
O  0.811  0.818  0.503
O  0.812  0.810  0.299
O  0.823  0.807  0.097
O  0.677  0.309  0.804
O  0.685  0.318  0.598
O  0.702  0.306  0.395
O  0.696  0.307  0.202
O  0.323  0.677  0.000
O  0.310  0.696  0.397
O  0.306  0.699  0.204
O  0.191  0.187  0.899
O  0.182  0.198  0.703
F  0.709  0.292  0.003
F  0.292  0.696  0.799
F  0.296  0.704  0.599
F  0.199  0.204  0.501
F  0.207  0.194  0.098
F  0.199  0.198  0.300

[3]
Entry from Materials Project: FeTe3BrO7 after structural relaxation (GGA+U).

Calculated values
* energy relative to the elements: -1.432 eV/atom
* V: 220 Å³/f.u.

Unit cell a=7.502 b=11.098 c=11.272 alpha=69.97 beta=90.00 gamma=90.00
Element x y z (fractional)
Fe  0.870  0.412  0.113
Fe  0.370  0.088  0.887
Fe  0.130  0.588  0.887
Fe  0.630  0.912  0.113
Te  0.510  0.232  0.098
Te  0.010  0.268  0.902
Te  0.490  0.768  0.902
Te  0.990  0.732  0.098
Te  0.974  0.067  0.233
Te  0.474  0.433  0.767
Te  0.026  0.933  0.767
Te  0.526  0.567  0.233
Te  0.102  0.427  0.367
Te  0.602  0.073  0.633
Te  0.898  0.573  0.633
Te  0.398  0.927  0.367
Br  0.712  0.378  0.494
Br  0.212  0.122  0.506
Br  0.288  0.622  0.506
Br  0.788  0.878  0.494
O  0.510  0.088  0.040
O  0.010  0.412  0.960
O  0.490  0.912  0.960
O  0.990  0.588  0.040
O  0.761  0.239  0.130
O  0.261  0.261  0.870
O  0.239  0.761  0.870
O  0.739  0.739  0.130
........
The data records stop here.
Murray reports, "that if they have been employed in the Fleet or the Colonies, no children have conducted themselves better ; and they all seem to retain a warm affection for the place of their edu- cation." The institution has had to encounter prejudice, opposi- tion, and pious frauds engaged in its suppression; but it survives, it flourishes, it succeeds, and its pupils are now sustaining the credit of the school in actual life. When a system like this shall - be extended throughout the country, we may expect to find our prison expenditure and our industrial wealth proceeding in an in- verse ratio.